Wanted:
Echo the block further down from the first line to the one with "(0.2500, 0.7500," exactly.
Input:
- - -
No. 1
The following is a DFT calculation (GGA-PBE) of Pd2PtPb after structural relaxation.

a b c (Å): 3.4840 3.4840 5.8716
angles (deg): 90.00 90.00 90.00
Sites, in units of the cell vectors:
Pd (0.0000, 0.0000, 0.2387)
Pd (0.0000, 0.0000, 0.7613)
Pt (0.5000, 0.5000, 0.0000)
Pb (0.5000, 0.5000, 0.5000)

Formation energy from the elements, meV per atom: -67
Energy above the lowest structure with this stoichiometry, meV/atom: 174
Density, g cm⁻³: 14.332



No. 2
The following is a DFT calculation (GGA-PBE) of ZnPd3I after structural relaxation.

a b c (Å): 4.7231 4.7231 4.7231
angles (deg): 90.00 90.00 90.00
Sites, in units of the cell vectors:
Zn (0.0000, 0.0000, 0.0000)
Pd (0.0000, 0.0000, 0.5000)
Pd (0.0000, 0.5000, 0.0000)
Pd (0.5000, 0.0000, 0.0000)
I (0.5000, 0.5000, 0.5000)

Energy above the lowest structure with this stoichiometry, meV/atom: 0
Energy relative to the elements, uncorrected, meV per atom: 340
Density, g cm⁻³: 8.063



No. 3
The following is a DFT calculation (GGA-PBE) of U3Pd5S12 after structural relaxation.

a b c (Å): 12.7684 12.7684 12.7684
angles (deg): 109.47 109.47 109.47
Sites, in units of the cell vectors:
U (0.1250, 0.2500, 0.3750)
U (0.1250, 0.3750, 0.7500)
U (0.2500, 0.3750, 0.1250)
U (0.2500, 0.8750, 0.6250)
U (0.3750, 0.1250, 0.2500)
U (0.3750, 0.7500, 0.1250)
U (0.6250, 0.2500, 0.8750)
U (0.6250, 0.8750, 0.7500)
U (0.7500, 0.1250, 0.3750)
U (0.7500, 0.6250, 0.8750)
U (0.8750, 0.6250, 0.2500)
U (0.8750, 0.7500, 0.6250)
Pd (0.0000, 0.0000, 0.0000)
Pd (0.0000, 0.0000, 0.5000)
Pd (0.0000, 0.5000, 0.0000)
Pd (0.0000, 0.5000, 0.5000)
Pd (0.1250, 0.7500, 0.8750)
Pd (0.1250, 0.8750, 0.2500)
Pd (0.2500, 0.1250, 0.8750)
Pd (0.2500, 0.6250, 0.3750)
Pd (0.3750, 0.2500, 0.6250)
Pd (0.3750, 0.6250, 0.7500)
Pd (0.5000, 0.0000, 0.0000)
Pd (0.5000, 0.0000, 0.5000)
Pd (0.5000, 0.5000, 0.0000)
Pd (0.5000, 0.5000, 0.5000)
Pd (0.6250, 0.3750, 0.2500)
Pd (0.6250, 0.7500, 0.3750)
Pd (0.7500, 0.3750, 0.6250)
Pd (0.7500, 0.8750, 0.1250)
Pd (0.8750, 0.1250, 0.7500)
Pd (0.8750, 0.2500, 0.1250)
S (0.0449, 0.2160, 0.1289)
S (0.0449, 0.3289, 0.9160)
S (0.0840, 0.6289, 0.4129)
S (0.0840, 0.9551, 0.6711)
S (0.0871, 0.7160, 0.6711)
S (0.0871, 0.8711, 0.4160)
S (0.1289, 0.0449, 0.2160)
S (0.1289, 0.5840, 0.9129)
S (0.1711, 0.2160, 0.5871)
S (0.1711, 0.4551, 0.5840)
S (0.2160, 0.1289, 0.0449)
S (0.2160, 0.5871, 0.1711)
S (0.2840, 0.3289, 0.9129)
S (0.2840, 0.4551, 0.3711)
S (0.3289, 0.9129, 0.2840)
S (0.3289, 0.9160, 0.0449)
S (0.3711, 0.2840, 0.4551)
S (0.3711, 0.5871, 0.9160)
S (0.4129, 0.0840, 0.6289)
S (0.4129, 0.8289, 0.7840)
S (0.4160, 0.0871, 0.8711)
S (0.4160, 0.8289, 0.5449)
S (0.4551, 0.3711, 0.2840)
S (0.4551, 0.5840, 0.1711)
S (0.5449, 0.4160, 0.8289)
S (0.5449, 0.6289, 0.7160)
S (0.5840, 0.1711, 0.4551)
S (0.5840, 0.9129, 0.1289)
S (0.5871, 0.1711, 0.2160)
S (0.5871, 0.9160, 0.3711)
S (0.6289, 0.4129, 0.0840)
S (0.6289, 0.7160, 0.5449)
S (0.6711, 0.0840, 0.9551)
S (0.6711, 0.0871, 0.7160)
S (0.7160, 0.5449, 0.6289)
S (0.7160, 0.6711, 0.0871)
S (0.7840, 0.4129, 0.8289)
S (0.7840, 0.8711, 0.9551)
S (0.8289, 0.5449, 0.4160)
S (0.8289, 0.7840, 0.4129)
S (0.8711, 0.4160, 0.0871)
S (0.8711, 0.9551, 0.7840)
S (0.9129, 0.1289, 0.5840)
S (0.9129, 0.2840, 0.3289)
S (0.9160, 0.0449, 0.3289)
S (0.9160, 0.3711, 0.5871)
S (0.9551, 0.6711, 0.0840)
S (0.9551, 0.7840, 0.8711)

Energy relative to the elements, uncorrected, meV per atom: -713
Density, g cm⁻³: 6.760



No. 4
The following is a DFT calculation (GGA-PBE) of SiSbW2 after structural relaxation.

a b c (Å): 9.5988 9.5988 9.5988
angles (deg): 155.49 155.49 34.94
Sites, in units of the cell vectors:
Si (0.0000, 0.0000, 0.0000)
Si (0.7500, 0.2500, 0.5000)
Sb (0.2500, 0.7500, 0.5000)
Sb (0.5000, 0.5000, 0.0000)
W (0.0682, 0.6250, 0.9432)
W (0.3750, 0.3182, 0.4432)
W (0.6818, 0.1250, 0.0568)
W (0.8750, 0.9318, 0.5568)

Energy above the lowest structure with this stoichiometry, meV/atom: 546
Energy relative to the elements, uncorrected, meV per atom: 713
- - -
Written answer:
No. 1
The following is a DFT calculation (GGA-PBE) of Pd2PtPb after structural relaxation.

a b c (Å): 3.4840 3.4840 5.8716
angles (deg): 90.00 90.00 90.00
Sites, in units of the cell vectors:
Pd (0.0000, 0.0000, 0.2387)
Pd (0.0000, 0.0000, 0.7613)
Pt (0.5000, 0.5000, 0.0000)
Pb (0.5000, 0.5000, 0.5000)

Formation energy from the elements, meV per atom: -67
Energy above the lowest structure with this stoichiometry, meV/atom: 174
Density, g cm⁻³: 14.332



No. 2
The following is a DFT calculation (GGA-PBE) of ZnPd3I after structural relaxation.

a b c (Å): 4.7231 4.7231 4.7231
angles (deg): 90.00 90.00 90.00
Sites, in units of the cell vectors:
Zn (0.0000, 0.0000, 0.0000)
Pd (0.0000, 0.0000, 0.5000)
Pd (0.0000, 0.5000, 0.0000)
Pd (0.5000, 0.0000, 0.0000)
I (0.5000, 0.5000, 0.5000)

Energy above the lowest structure with this stoichiometry, meV/atom: 0
Energy relative to the elements, uncorrected, meV per atom: 340
Density, g cm⁻³: 8.063



No. 3
The following is a DFT calculation (GGA-PBE) of U3Pd5S12 after structural relaxation.

a b c (Å): 12.7684 12.7684 12.7684
angles (deg): 109.47 109.47 109.47
Sites, in units of the cell vectors:
U (0.1250, 0.2500, 0.3750)
U (0.1250, 0.3750, 0.7500)
U (0.2500, 0.3750, 0.1250)
U (0.2500, 0.8750, 0.6250)
U (0.3750, 0.1250, 0.2500)
U (0.3750, 0.7500, 0.1250)
U (0.6250, 0.2500, 0.8750)
U (0.6250, 0.8750, 0.7500)
U (0.7500, 0.1250, 0.3750)
U (0.7500, 0.6250, 0.8750)
U (0.8750, 0.6250, 0.2500)
U (0.8750, 0.7500, 0.6250)
Pd (0.0000, 0.0000, 0.0000)
Pd (0.0000, 0.0000, 0.5000)
Pd (0.0000, 0.5000, 0.0000)
Pd (0.0000, 0.5000, 0.5000)
Pd (0.1250, 0.7500, 0.8750)
Pd (0.1250, 0.8750, 0.2500)
Pd (0.2500, 0.1250, 0.8750)
Pd (0.2500, 0.6250, 0.3750)
Pd (0.3750, 0.2500, 0.6250)
Pd (0.3750, 0.6250, 0.7500)
Pd (0.5000, 0.0000, 0.0000)
Pd (0.5000, 0.0000, 0.5000)
Pd (0.5000, 0.5000, 0.0000)
Pd (0.5000, 0.5000, 0.5000)
Pd (0.6250, 0.3750, 0.2500)
Pd (0.6250, 0.7500, 0.3750)
Pd (0.7500, 0.3750, 0.6250)
Pd (0.7500, 0.8750, 0.1250)
Pd (0.8750, 0.1250, 0.7500)
Pd (0.8750, 0.2500, 0.1250)
S (0.0449, 0.2160, 0.1289)
S (0.0449, 0.3289, 0.9160)
S (0.0840, 0.6289, 0.4129)
S (0.0840, 0.9551, 0.6711)
S (0.0871, 0.7160, 0.6711)
S (0.0871, 0.8711, 0.4160)
S (0.1289, 0.0449, 0.2160)
S (0.1289, 0.5840, 0.9129)
S (0.1711, 0.2160, 0.5871)
S (0.1711, 0.4551, 0.5840)
S (0.2160, 0.1289, 0.0449)
S (0.2160, 0.5871, 0.1711)
S (0.2840, 0.3289, 0.9129)
S (0.2840, 0.4551, 0.3711)
S (0.3289, 0.9129, 0.2840)
S (0.3289, 0.9160, 0.0449)
S (0.3711, 0.2840, 0.4551)
S (0.3711, 0.5871, 0.9160)
S (0.4129, 0.0840, 0.6289)
S (0.4129, 0.8289, 0.7840)
S (0.4160, 0.0871, 0.8711)
S (0.4160, 0.8289, 0.5449)
S (0.4551, 0.3711, 0.2840)
S (0.4551, 0.5840, 0.1711)
S (0.5449, 0.4160, 0.8289)
S (0.5449, 0.6289, 0.7160)
S (0.5840, 0.1711, 0.4551)
S (0.5840, 0.9129, 0.1289)
S (0.5871, 0.1711, 0.2160)
S (0.5871, 0.9160, 0.3711)
S (0.6289, 0.4129, 0.0840)
S (0.6289, 0.7160, 0.5449)
S (0.6711, 0.0840, 0.9551)
S (0.6711, 0.0871, 0.7160)
S (0.7160, 0.5449, 0.6289)
S (0.7160, 0.6711, 0.0871)
S (0.7840, 0.4129, 0.8289)
S (0.7840, 0.8711, 0.9551)
S (0.8289, 0.5449, 0.4160)
S (0.8289, 0.7840, 0.4129)
S (0.8711, 0.4160, 0.0871)
S (0.8711, 0.9551, 0.7840)
S (0.9129, 0.1289, 0.5840)
S (0.9129, 0.2840, 0.3289)
S (0.9160, 0.0449, 0.3289)
S (0.9160, 0.3711, 0.5871)
S (0.9551, 0.6711, 0.0840)
S (0.9551, 0.7840, 0.8711)

Energy relative to the elements, uncorrected, meV per atom: -713
Density, g cm⁻³: 6.760



No. 4
The following is a DFT calculation (GGA-PBE) of SiSbW2 after structural relaxation.

a b c (Å): 9.5988 9.5988 9.5988
angles (deg): 155.49 155.49 34.94
Sites, in units of the cell vectors:
Si (0.0000, 0.0000, 0.0000)
Si (0.7500, 0.2500, 0.5000)
Sb (0.2500, 0.7500, 0.5000)